[Job]
It remains to type out all of the block below without altering anything.

[Excerpt]
/*
Here is a geometry-optimized Tb3Nd2Ho6 structure from Alexandria via LeMat-Bulk. Energies are from PBE-GGA.

Calculated values
Energy above the lowest structure with this stoichiometry in meV/atom: 0
Formation energy from the elements in meV/atom: 183
Crystal system: monoclinic
E_tot in eV per formula unit: -48.87

```
Tb3Nd2Ho6
1.0
3.054 -5.298 0.000
3.054 5.298 0.000
-2.057 0.000 11.507
Tb Nd Ho
3 2 6
Cartesian
0.000 0.000 0.000 Tb
3.054 1.746 0.000 Tb
3.054 -1.746 0.000 Tb
2.026 3.532 5.754 Nd
2.026 -3.532 5.754 Nd
1.013 1.766 2.848 Ho
-0.017 0.000 8.660 Ho
1.013 -1.766 2.848 Ho
3.038 1.766 8.659 Ho
4.068 0.000 2.848 Ho
3.038 -1.766 8.659 Ho
```

Here is a geometry-optimized TbNd12Ho3 structure from Alexandria via LeMat-Bulk. Energies are from PBE-GGA.

Calculated values
Formation energy from the elements in meV/atom: 14
Crystal system: tetragonal
E_tot in eV per formula unit: -75.36

```
TbNd12Ho3
1.0
5.156 0.000 0.000
0.000 5.156 0.000
0.000 0.000 20.565
Tb Nd Ho
1 12 3
Cartesian
0.000 0.000 0.000 Tb
0.000 2.578 2.579 Nd
0.000 2.578 7.714 Nd
0.000 2.578 12.851 Nd
0.000 2.578 17.986 Nd
2.578 0.000 2.579 Nd
2.578 0.000 7.714 Nd
2.578 0.000 12.851 Nd
2.578 0.000 17.986 Nd
2.578 2.578 0.000 Nd
2.578 2.578 5.148 Nd
2.578 2.578 10.283 Nd
2.578 2.578 15.417 Nd
0.000 0.000 5.147 Ho
0.000 0.000 10.283 Ho
0.000 0.000 15.418 Ho
```

Here is a geometry-optimized Tb15Nd4Ho structure from Alexandria via LeMat-Bulk. Energies are from PBE-GGA.

Calculated values
Formation energy from the elements in meV/atom: 17
Crystal system: tetragonal
E_tot in eV per formula unit: -92.76

```
Tb15Nd4Ho
1.0
5.071 0.000 0.000
0.000 5.071 0.000
0.000 0.000 25.296
Tb Nd Ho
15 4 1
Cartesian
0.000 0.000 0.000 Tb
0.000 0.000 5.027 Tb
0.000 0.000 10.110 Tb
0.000 0.000 15.186 Tb
0.000 0.000 20.269 Tb
0.000 2.535 2.491 Tb
0.000 2.535 7.569 Tb
0.000 2.535 12.648 Tb
0.000 2.535 17.727 Tb
0.000 2.535 22.805 Tb
2.535 0.000 2.491 Tb
2.535 0.000 7.569 Tb
2.535 0.000 12.648 Tb
2.535 0.000 17.727 Tb
2.535 0.000 22.805 Tb
2.535 2.535 5.037 Nd
2.535 2.535 10.107 Nd
2.535 2.535 15.189 Nd
2.535 2.535 20.259 Nd
2.535 2.535 0.000 Ho
```

=====

# 1
! TlReAu2 (PBE, relaxed); values from VASP
&SYSTEM
  ibrav = 0, nat = 4, ntyp = 3
/
ATOMIC_SPECIES
Au 196.97 Au.upf
Re 186.21 Re.upf
Tl 204.38 Tl.upf
CELL_PARAMETERS angstrom
2.8750 0.0000 0.0000
0.0000 4.2019 0.0000
0.0000 0.0000 6.1467
ATOMIC_POSITIONS crystal
Au 0.0000 0.0000 0.0165
Au 0.5000 0.5000 0.2595
Re 0.0000 0.0000 0.4861
Tl 0.5000 0.5000 0.7378
! Calculated formation energy: 0.714 eV per atom
! VASP energy: -18.5 eV per cell
! Offset from the most stable computed form: 193 meV per atom


# 2
! Cs4Na2Li (PBE, relaxed); values from VASP
&SYSTEM
  ibrav = 0, nat = 7, ntyp = 3
/
ATOMIC_SPECIES
Cs 132.91 Cs.upf
Na 22.99 Na.upf
Li 6.94 Li.upf
CELL_PARAMETERS angstrom
-7.0434 -3.3115 -0.0713
3.1607 -6.7697 2.1822
-3.2529 -2.4640 10.9485
ATOMIC_POSITIONS crystal
Cs 0.8043 0.8043 0.3915
Cs 0.1957 0.1957 0.6085
Cs 0.0000 0.5000 0.0000
Cs 0.5000 0.0000 0.0000
Na 0.5970 0.5970 0.8060
Na 0.4030 0.4030 0.1940
Li 0.0000 0.0000 0.0000
! Calculated formation energy: 0.150 eV per atom
! VASP energy: -6.9 eV per cell


# 3
! Pr2Dy3Sc (PBE, relaxed); values from VASP
&SYSTEM
  ibrav = 0, nat = 12, ntyp = 3
/
ATOMIC_SPECIES
Pr 140.91 Pr.upf
Dy 162.50 Dy.upf
Sc 44.96 Sc.upf
CELL_PARAMETERS angstrom
4.8979 0.0004 -1.0951
-0.7174 10.7489 -3.2050
-0.8277 -1.2337 7.7979
ATOMIC_POSITIONS crystal
Pr 0.5378 0.8752 0.0757
Pr 0.4622 0.1248 0.9243
Pr 0.2105 0.8740 0.4210
Pr 0.7895 0.1260 0.5790
Dy 0.0444 0.3776 0.0888
Dy 0.9556 0.6224 0.9112
Dy 0.7080 0.3731 0.4159
Dy 0.2920 0.6269 0.5841
Dy 0.6264 0.6240 0.2528
Dy 0.3736 0.3760 0.7472
Sc 0.1238 0.1256 0.2476
Sc 0.8762 0.8744 0.7524
! Calculated formation energy: 0.038 eV per atom
! VASP energy: -58.9 eV per cell
! Offset from the most stable computed form: 0 meV per atom


# 4
! SbHPd3 (PBE, relaxed); values from VASP
&SYSTEM
  ibrav = 0, nat = 5, ntyp = 3
/
ATOMIC_SPECIES
Sb 121.76 Sb.upf
*/

[Solution]
Here is a geometry-optimized Tb3Nd2Ho6 structure from Alexandria via LeMat-Bulk. Energies are from PBE-GGA.

Calculated values
Energy above the lowest structure with this stoichiometry in meV/atom: 0
Formation energy from the elements in meV/atom: 183
Crystal system: monoclinic
E_tot in eV per formula unit: -48.87

```
Tb3Nd2Ho6
1.0
3.054 -5.298 0.000
3.054 5.298 0.000
-2.057 0.000 11.507
Tb Nd Ho
3 2 6
Cartesian
0.000 0.000 0.000 Tb
3.054 1.746 0.000 Tb
3.054 -1.746 0.000 Tb
2.026 3.532 5.754 Nd
2.026 -3.532 5.754 Nd
1.013 1.766 2.848 Ho
-0.017 0.000 8.660 Ho
1.013 -1.766 2.848 Ho
3.038 1.766 8.659 Ho
4.068 0.000 2.848 Ho
3.038 -1.766 8.659 Ho
```

Here is a geometry-optimized TbNd12Ho3 structure from Alexandria via LeMat-Bulk. Energies are from PBE-GGA.

Calculated values
Formation energy from the elements in meV/atom: 14
Crystal system: tetragonal
E_tot in eV per formula unit: -75.36

```
TbNd12Ho3
1.0
5.156 0.000 0.000
0.000 5.156 0.000
0.000 0.000 20.565
Tb Nd Ho
1 12 3
Cartesian
0.000 0.000 0.000 Tb
0.000 2.578 2.579 Nd
0.000 2.578 7.714 Nd
0.000 2.578 12.851 Nd
0.000 2.578 17.986 Nd
2.578 0.000 2.579 Nd
2.578 0.000 7.714 Nd
2.578 0.000 12.851 Nd
2.578 0.000 17.986 Nd
2.578 2.578 0.000 Nd
2.578 2.578 5.148 Nd
2.578 2.578 10.283 Nd
2.578 2.578 15.417 Nd
0.000 0.000 5.147 Ho
0.000 0.000 10.283 Ho
0.000 0.000 15.418 Ho
```

Here is a geometry-optimized Tb15Nd4Ho structure from Alexandria via LeMat-Bulk. Energies are from PBE-GGA.

Calculated values
Formation energy from the elements in meV/atom: 17
Crystal system: tetragonal
E_tot in eV per formula unit: -92.76

```
Tb15Nd4Ho
1.0
5.071 0.000 0.000
0.000 5.071 0.000
0.000 0.000 25.296
Tb Nd Ho
15 4 1
Cartesian
0.000 0.000 0.000 Tb
0.000 0.000 5.027 Tb
0.000 0.000 10.110 Tb
0.000 0.000 15.186 Tb
0.000 0.000 20.269 Tb
0.000 2.535 2.491 Tb
0.000 2.535 7.569 Tb
0.000 2.535 12.648 Tb
0.000 2.535 17.727 Tb
0.000 2.535 22.805 Tb
2.535 0.000 2.491 Tb
2.535 0.000 7.569 Tb
2.535 0.000 12.648 Tb
2.535 0.000 17.727 Tb
2.535 0.000 22.805 Tb
2.535 2.535 5.037 Nd
2.535 2.535 10.107 Nd
2.535 2.535 15.189 Nd
2.535 2.535 20.259 Nd
2.535 2.535 0.000 Ho
```

=====

# 1
! TlReAu2 (PBE, relaxed); values from VASP
&SYSTEM
  ibrav = 0, nat = 4, ntyp = 3
/
ATOMIC_SPECIES
Au 196.97 Au.upf
Re 186.21 Re.upf
Tl 204.38 Tl.upf
CELL_PARAMETERS angstrom
2.8750 0.0000 0.0000
0.0000 4.2019 0.0000
0.0000 0.0000 6.1467
ATOMIC_POSITIONS crystal
Au 0.0000 0.0000 0.0165
Au 0.5000 0.5000 0.2595
Re 0.0000 0.0000 0.4861
Tl 0.5000 0.5000 0.7378
! Calculated formation energy: 0.714 eV per atom
! VASP energy: -18.5 eV per cell
! Offset from the most stable computed form: 193 meV per atom


# 2
! Cs4Na2Li (PBE, relaxed); values from VASP
&SYSTEM
  ibrav = 0, nat = 7, ntyp = 3
/
ATOMIC_SPECIES
Cs 132.91 Cs.upf
Na 22.99 Na.upf
Li 6.94 Li.upf
CELL_PARAMETERS angstrom
-7.0434 -3.3115 -0.0713
3.1607 -6.7697 2.1822
-3.2529 -2.4640 10.9485
ATOMIC_POSITIONS crystal
Cs 0.8043 0.8043 0.3915
Cs 0.1957 0.1957 0.6085
Cs 0.0000 0.5000 0.0000
Cs 0.5000 0.0000 0.0000
Na 0.5970 0.5970 0.8060
Na 0.4030 0.4030 0.1940
Li 0.0000 0.0000 0.0000
! Calculated formation energy: 0.150 eV per atom
! VASP energy: -6.9 eV per cell


# 3
! Pr2Dy3Sc (PBE, relaxed); values from VASP
&SYSTEM
  ibrav = 0, nat = 12, ntyp = 3
/
ATOMIC_SPECIES
Pr 140.91 Pr.upf
Dy 162.50 Dy.upf
Sc 44.96 Sc.upf
CELL_PARAMETERS angstrom
4.8979 0.0004 -1.0951
-0.7174 10.7489 -3.2050
-0.8277 -1.2337 7.7979
ATOMIC_POSITIONS crystal
Pr 0.5378 0.8752 0.0757
Pr 0.4622 0.1248 0.9243
Pr 0.2105 0.8740 0.4210
Pr 0.7895 0.1260 0.5790
Dy 0.0444 0.3776 0.0888
Dy 0.9556 0.6224 0.9112
Dy 0.7080 0.3731 0.4159
Dy 0.2920 0.6269 0.5841
Dy 0.6264 0.6240 0.2528
Dy 0.3736 0.3760 0.7472
Sc 0.1238 0.1256 0.2476
Sc 0.8762 0.8744 0.7524
! Calculated formation energy: 0.038 eV per atom
! VASP energy: -58.9 eV per cell
! Offset from the most stable computed form: 0 meV per atom


# 4
! SbHPd3 (PBE, relaxed); values from VASP
&SYSTEM
  ibrav = 0, nat = 5, ntyp = 3
/
ATOMIC_SPECIES
Sb 121.76 Sb.upf